My favorite candy is Dove dark chocolates. If you're not aware, the wrappers they come in have little sayings inside. Well, I've eaten these for years and haven't read those little wrappers for over a year or more until last night. Why? I don't know but something told me to read the wrapper as I went to throw it in the garbage. It was a strong feeling so I couldn't resist to see what the wrapper said. It stated: "Everyone has a happy ending. If you're not happy, it's not the end." I was surprised and found it fitting for our current times :).
On another note, in January, my 4 year old grandson out of the blue stated: "You know why people don't want Biden as president?" Parents: "Why?" Grandson: " Because he wants to steal peoples souls." My daughter and son-in-law were shocked and surprised to hear this. They have never said anything to him or talked about Biden in any context to what he had stated. We discussed who he could have heard this from. Asked other family members, grandparents mainly because that is who he is around the most and none of us had. The context of his statement is bewildering and yet true as we all know.
While we are looking at the big picture, keep your eyes and ears open for the little messages given to us on any given day. :)
Ahh to be young and still being able to perceive through the veil.
You should engage with him and say something like "Wow, thats very interesting. How did you know this?" and see what he says
They asked him where he had heard that. He said 'Mom said it'. My daughter was shocked as she had never stated anything like that. She corrected him and told him she had not. I also can attest that my daughter would never state anything like that in those words and she is very particular to what is said in front of the kids. So whether he had dreamt it or whatever but we are still not sure how it came about. For reference, he is a very smart kid for his age and this isn't the first time he has bewildered us with his knowledge and or statements. At 2 he was aware of many different types of colors and also shapes (like cyan, hexagon etc) not your basic colors/shapes at that age, that even I had to look up to see if he was correct lol.
There is another explanation. Your daughter might have thought about it (involuntarily) and he might have been able to hear her thoughts.
Some folks have grandma always called it a "shine."
Hmm never thought about it that way.
The innocence of babes. Even kids know when a spiritual battle is happening.
I'm gonna use the title the next time someone comments on the size of my... well, you know.
Does he watch YouTube? Or TV in general.. I always wonder about subliminal messaging in those things.
Not YT. He does watch your typical cartoons etc for his age but not to the extreme. The kids are outside any chance they get... more than your typical kids these days. It was just odd the exact choice of words he used and how there is so much truth behind that one sentence.
Raping children steals their souls so he is right
Not everyone has a happy ending. Fact! Dove chocolate is lying to you! Christ said that Narrow is the way to heaven. The path to hell is wide. Unfortunately there will be many there, they will still turn their back on the Lord, even the last seven years on earth during the tribulation people will dig their heels in and deny Christ. Saying that everyone gets a happy ending, it’s like saying everybody gets a participation trophy. Heaven and hell are both real places. I will continue to preach the gospel of Jesus Christ, so that less people go to hell. The label that you read, reminds me of a book somebody just wrote near me. It says that everybody will eventually go to heaven. That’s the biggest lie ever!
"Not everyone has a happy ending" I suppose it depends on who is giving the massage.
What are you referencing in stating Jesus saying Nero was the way to heaven?
It’s supposed to say narrow but I have Siri
Lol, oh yeah, makes much more sense
# The piece is interrupted by records of crystals
[1]
VASP calculation (PBE-GGA) on an optimized crystal structure of CeSe2.

The structure in extended XYZ format:
```
12
Lattice="-8.618 6.742 4.160 8.618 -6.742 4.160 8.618 6.742 -4.160" Properties=species:S:1:pos:R:3 pbc="T T T"
Ce 1.761 1.941 0.000
Ce 6.857 1.941 0.000
Ce 1.761 4.801 4.160
Ce 6.857 4.801 4.160
Se 4.309 1.030 -0.343
Se 7.243 4.159 -1.537
Se 9.992 -2.584 2.623
Se 1.375 2.584 2.623
Se 7.243 2.584 2.623
Se 4.309 5.712 3.817
Se 0.000 6.742 3.390
Se 0.000 0.000 7.551
```

Output
The value obtained for the size of the total moment is 0.000 μB/f.u. Its formation enthalpy at 0 K is -1.41 eV/atom. Its total energy is -64.79 eV for the cell shown. As for the space group: Ima2.

=====

[2]
VASP calculation (PBE-GGA) on an optimized crystal structure of Bi2Ir2O7.

The structure in extended XYZ format:
```
22
Lattice="0.000 5.217 5.217 5.217 0.000 5.217 5.217 5.217 0.000" Properties=species:S:1:pos:R:3 pbc="T T T"
Bi 0.000 0.000 0.000
Bi 2.608 2.608 0.000
Bi 2.608 0.000 2.608
Bi 0.000 2.608 2.608
Ir 5.217 2.608 2.608
Ir 2.608 5.217 2.608
Ir 2.608 2.608 5.217
Ir 5.217 5.217 5.217
O 1.304 1.304 1.304
O 3.912 3.912 1.760
O 3.912 1.760 3.912
O 6.064 3.912 3.912
O 6.521 6.521 4.369
O 6.521 4.369 6.521
O 8.673 6.521 6.521
O 1.760 3.912 3.912
O 3.912 6.064 3.912
O 3.912 3.912 6.064
O 4.369 6.521 6.521
O 6.521 8.673 6.521
O 6.521 6.521 8.673
O 9.129 9.129 9.129
```

Output
Its formation enthalpy at 0 K is -1.47 eV/atom. Its total energy is -142.88 eV for the cell shown. As for the space group: Fd-3m.

=====

[3]
VASP calculation (PBE-GGA) on an optimized crystal structure of MgC2O6.

The structure in extended XYZ format:
```
36
Lattice="7.858 0.000 0.000 0.000 7.878 0.000 -1.437 0.000 8.940" Properties=species:S:1:pos:R:3 pbc="T T T"
Mg 0.000 0.000 0.000
Mg -0.718 3.939 4.470
Mg 3.211 0.000 4.470
Mg 3.929 3.939 0.000
C 0.859 1.399 2.870
C 0.141 2.540 7.340
C 1.734 5.791 4.337
C 1.016 6.025 8.807
C 5.406 1.853 0.133
C 4.687 2.086 4.603
C 6.281 5.338 1.600
C 5.562 6.479 6.070
O 0.329 0.868 1.843
O -0.389 3.071 6.313
O -0.547 1.746 8.063
O 0.171 2.193 3.593
O 1.173 4.672 4.504
O 1.892 7.144 0.034
O 2.136 4.963 0.533
O 1.417 6.853 5.003
O 2.076 1.139 3.180
O 1.357 2.800 7.650
O 1.977 5.819 7.975
O 2.696 5.997 3.505
O 3.726 1.881 5.434
O 4.444 2.058 0.964
O 5.064 5.077 1.289
O 4.346 6.739 5.759
O 5.004 1.025 3.936
O 4.286 2.914 8.406
O 4.530 0.733 8.906
O 5.248 3.206 4.436
O 6.250 5.685 5.346
O 6.969 6.132 0.877
O 6.811 4.807 2.627
O 6.092 7.009 7.096
```

Output
For the distance to the lowest polymorph of the same formula, the calculation gives 0.0 kJ/mol of atoms. The value obtained for the size of the total moment is 2.001 μB/f.u. Its formation enthalpy at 0 K is -1.79 eV/atom. Its total energy is -247.08 eV for the cell shown. As for the space group: P2_1/c.

=====

[4]
VASP calculation (PBE-GGA) on an optimized crystal structure of Na4TiAlSi2PO12.

The structure in extended XYZ format:
```
126
# The records of crystals stop here
I didn't perceive 'ending' as meaning death. You took the whole post in a different direction.
Oh ok. Well forgive me then. I’ve just been studying a lot about life and death lately. To me it’s never too late until it’s too late. That’s when somebody dies that’s when it’s the end. And believe me, I know that!
My husband died at the age of 30. Out of the blue, no explanation. That was not a happy ending! Thank God he knew Jesus though, at least I will see him again in heaven. But I’ve had a lot of not happy endings in my life. I’m just wanted to make sure people knew ... never mind.
God bless you have a great day
oh so we weren't talking about my dick :(